Environmental Groups Take Oil Waste Concerns to State Health Officials
BISMARCK – Two environmental groups say the amount of radioactive material around the Oil Patch is at a threatening level and only increasing as the state lags in enforcing environmental regulations.
The newly formed Energy Industry Waste Coalition and the Dakota Resource Council, a nonprofit, grassroots group, met with state health officials Thursday to express their concerns and hear what the state Department of Health is doing to beef up its enforcement.
“There seems to be an attitude at the Capitol to do whatever necessary to boost energy industry profits as much as possible,” said Darrell Dorgan of Bismarck, who helped organize the waste coalition. “The role of the government is to protect the health and welfare of the people on the plains of North Dakota.”
Attached: records of crystals:
........
1.
Below is Co23B6 after structural relaxation, with properties calculated at the GGA-PBE level.

Cell: 7.377 7.377 7.377 Å, 60.00 60.00 60.00°
Fractional coordinates of all 29 atoms:
Co: 0.750 0.750 0.750
Co: 0.620 0.140 0.620
Co: 0.620 0.620 0.140
Co: 0.380 0.860 0.380
Co: 0.250 0.250 0.250
Co: 0.338 0.000 0.662
Co: 0.000 0.000 0.338
Co: 0.662 0.338 0.000
Co: 0.662 0.000 0.338
Co: 0.000 0.662 0.338
Co: 0.000 0.338 0.662
Co: 0.662 0.000 0.000
Co: 0.140 0.620 0.620
Co: 0.380 0.380 0.860
Co: 0.860 0.380 0.380
Co: 0.000 0.000 0.662
Co: 0.338 0.000 0.000
Co: 0.620 0.620 0.620
Co: 0.000 0.662 0.000
Co: 0.380 0.380 0.380
Co: 0.000 0.000 0.000
Co: 0.000 0.338 0.000
Co: 0.338 0.662 0.000
B: 0.724 0.724 0.276
B: 0.276 0.724 0.276
B: 0.276 0.724 0.724
B: 0.724 0.276 0.724
B: 0.276 0.276 0.724
B: 0.724 0.276 0.276

Values from the calculation:
Energy relative to the elements ... -0.15 eV/atom
Energy ... -7.1675 eV per atom

---

2.
Below is LiB4Ir4 after structural relaxation, with properties calculated at the GGA-PBE level.

Cell: 6.596 6.596 6.075 Å, 108.14 108.14 115.24°
Fractional coordinates of all 18 atoms:
Ir: 0.842 0.606 0.484
Ir: 0.128 0.392 0.984
Ir: 0.608 0.872 0.016
Ir: 0.856 0.592 0.984
Ir: 0.122 0.358 0.516
Ir: 0.642 0.878 0.484
Ir: 0.408 0.144 0.016
Ir: 0.394 0.158 0.516
B: 0.564 0.593 0.676
B: 0.843 0.314 0.176
B: 0.407 0.436 0.324
B: 0.917 0.888 0.324
B: 0.333 0.862 0.176
B: 0.112 0.083 0.676
B: 0.138 0.667 0.824
B: 0.686 0.157 0.824
Li: 0.000 0.000 0.000
Li: 0.250 0.750 0.500

Values from the calculation:
Magnetic moment ... 0.000 μB per atom
Energy relative to the elements ... -0.10 eV/atom
Energy ... -7.2127 eV per atom

---

3.
Below is SbH7F11 after structural relaxation, with properties calculated at the GGA-PBE level.

Cell: 6.159 6.548 26.527 Å, 86.68 88.75 88.72°
Fractional coordinates of all 95 atoms:
Sb: 0.856 0.815 0.629
Sb: 0.428 0.456 0.803
Sb: 0.248 0.247 0.422
Sb: 0.837 0.922 0.988
Sb: 0.570 0.613 0.208
F: 0.939 0.241 0.279
F: 0.431 0.117 0.783
F: 0.408 0.483 0.428
F: 0.451 0.077 0.388
F: 0.910 0.417 0.098
F: 0.689 0.563 0.281
F: 0.283 0.930 0.721
F: 0.823 0.392 0.673
F: 0.982 0.115 0.923
F: 0.580 0.273 0.889
F: 0.959 0.774 0.702
F: 0.650 0.059 0.681
F: 0.305 0.965 0.073
F: 0.780 0.801 0.923
F: 0.453 0.505 0.728
F: 0.962 0.840 0.815
F: 0.936 0.873 0.073
F: 0.484 0.665 0.135
F: 0.699 0.882 0.203
F: 0.147 0.116 0.171
F: 0.154 0.791 0.468
F: 0.982 0.296 0.456
F: 0.675 0.778 0.458
F: 0.859 0.511 0.181
F: 0.002 0.740 0.293
F: 0.290 0.046 0.262
F: 0.982 0.082 0.619
F: 0.124 0.812 0.984
F: 0.642 0.012 0.300
F: 0.568 0.131 0.121
F: 0.318 0.353 0.653
F: 0.818 0.930 0.536
F: 0.501 0.316 0.201
F: 0.039 0.330 0.747
F: 0.447 0.124 0.588
F: 0.204 0.684 0.219
F: 0.314 0.366 0.992
F: 0.272 0.475 0.085
F: 0.351 0.115 0.482
F: 0.553 0.036 0.975
F: 0.895 0.178 0.013
F: 0.643 0.328 0.524
F: 0.967 0.639 0.406
F: 0.912 0.036 0.387
F: 0.364 0.717 0.340
F: 0.342 0.597 0.902
F: 0.156 0.332 0.355
F: 0.702 0.683 0.016
F: 0.902 0.525 0.564
........
The records of crystals stop here:
Dorgan is the owner of Dakom Communications and reported on radioactive waste in the 1980s while working as a broadcast journalist. He says he has been concerned about the improper disposal of oilfield material, some of which can be radioactive.
He said the state’s inability to monitor the toxic waste means there needs to be a change in the regulations and rules in North Dakota.
“Toxic chemicals have been dumped and injected into the environment,” he said. “What goes in one well, one ditch, will likely come out someone’s tap tomorrow.”
The two groups met with Dave Glatt, environmental health section chief for the Department of Health, who said the state is doing everything it can to enforce the waste disposal rules and impose penalties on companies found guilty of any infractions.
“With the advent of the oil boom, things have changed a little bit,” Glatt said. “The environment as we know it is not going to be the same, it can’t be, but our job is to minimize those impacts by making sure they stay in the law, follow the law and prosecute if they go outside the law.”
The Health Department was given eight new positions by lawmakers to monitor the Oil Patch, and money to purchase lab equipment to analyze more materials.
Glatt said the state has pushed to find solutions to regulatory violations as the Health Department continues to play catch-up with the Oil Patch.
“If you screwed up on something, we weren’t there with a hammer right away, we looked to fix it,” he said.
But as the activity grows, he said officials are less likely to spend a lot of time finding solutions, and more time imposing penalties.
Glatt said the state has collected more in total penalties the past six months than the past few years combined.
“There are some people out there that need to be reminded how to act in North Dakota,” he said.
The Department of Health will soon begin a sweeping study that will look at oil waste and the risks associated with radioactive material, Glatt said.
_Misplaced crystal structures_
-- begin --
Entry 1:
A plane-wave DFT calculation with meta-GGA r2SCAN was carried out for a relaxed ThMgAu2 crystal.

- Formation energy from the elements: -0.7064 eV/atom
- Space group: No. 225
- Mass density: 12.05 g cm⁻³

a b c (Å): 5.023 5.023 5.023
angles (deg): 60.00 60.00 60.00
Element x y z (fractional)
Th (0.000, 0.000, 0.000)
Mg (0.500, 0.500, 0.500)
Au (0.250, 0.250, 0.250)
Au (0.750, 0.750, 0.750)

---

Entry 2:
A plane-wave DFT calculation with meta-GGA r2SCAN was carried out for a relaxed MnTe6O13 crystal.

- Formation energy from the elements: -1.2210 eV/atom
- Space group: No. 148
- Mass density: 5.86 g cm⁻³

a b c (Å): 8.735 8.735 8.735
angles (deg): 71.66 71.66 71.66
Element x y z (fractional)
Mn (0.244, 0.244, 0.244)
Mn (0.756, 0.756, 0.756)
Te (0.030, 0.324, 0.920)
Te (0.080, 0.970, 0.676)
Te (0.166, 0.559, 0.486)
Te (0.324, 0.920, 0.030)
Te (0.441, 0.514, 0.834)
Te (0.486, 0.166, 0.559)
Te (0.514, 0.834, 0.441)
Te (0.559, 0.486, 0.166)
Te (0.676, 0.080, 0.970)
Te (0.834, 0.441, 0.514)
Te (0.920, 0.030, 0.324)
Te (0.970, 0.676, 0.080)
O (0.040, 0.137, 0.382)
O (0.102, 0.395, 0.426)
O (0.111, 0.801, 0.875)
O (0.125, 0.889, 0.199)
O (0.137, 0.382, 0.040)
O (0.194, 0.448, 0.699)
O (0.199, 0.125, 0.889)
O (0.301, 0.806, 0.552)
O (0.382, 0.040, 0.137)
O (0.395, 0.426, 0.102)
O (0.411, 0.411, 0.411)
O (0.426, 0.102, 0.395)
O (0.448, 0.699, 0.194)
O (0.552, 0.301, 0.806)
O (0.574, 0.898, 0.605)
O (0.589, 0.589, 0.589)
O (0.605, 0.574, 0.898)
O (0.618, 0.960, 0.863)
O (0.699, 0.194, 0.448)
O (0.801, 0.875, 0.111)
O (0.806, 0.552, 0.301)
O (0.863, 0.618, 0.960)
O (0.875, 0.111, 0.801)
O (0.889, 0.199, 0.125)
O (0.898, 0.605, 0.574)
O (0.960, 0.863, 0.618)

---

Entry 3:
A plane-wave DFT calculation with meta-GGA r2SCAN was carried out for a relaxed Tb4MgNi crystal.

- Formation energy from the elements: -0.2037 eV/atom
- Space group: No. 216
- Mass density: 7.56 g cm⁻³

a b c (Å): 9.630 9.630 9.630
angles (deg): 60.00 60.00 60.00
Element x y z (fractional)
Tb (0.185, 0.185, 0.815)
Tb (0.185, 0.815, 0.185)
Tb (0.185, 0.815, 0.815)
Tb (0.404, 0.404, 0.404)
Tb (0.404, 0.404, 0.788)
Tb (0.404, 0.788, 0.404)
Tb (0.562, 0.562, 0.938)
Tb (0.562, 0.938, 0.562)
Tb (0.562, 0.938, 0.938)
Tb (0.788, 0.404, 0.404)
Tb (0.815, 0.185, 0.185)
Tb (0.815, 0.185, 0.815)
Tb (0.815, 0.815, 0.185)
Tb (0.938, 0.562, 0.562)
Tb (0.938, 0.562, 0.938)
Tb (0.938, 0.938, 0.562)
Mg (0.171, 0.171, 0.171)
Mg (0.171, 0.171, 0.488)
Mg (0.171, 0.488, 0.171)
Mg (0.488, 0.171, 0.171)
Ni (0.176, 0.608, 0.608)
Ni (0.608, 0.176, 0.608)
Ni (0.608, 0.608, 0.176)
Ni (0.608, 0.608, 0.608)

---

Entry 4:
A plane-wave DFT calculation with meta-GGA r2SCAN was carried out for a relaxed ZrCoF6 crystal.

- Formation energy from the elements: -3.3293 eV/atom
- Space group: No. 148
- Mass density: 3.49 g cm⁻³

a b c (Å): 5.640 5.640 5.640
angles (deg): 59.62 59.62 59.62
Element x y z (fractional)
Zr (0.000, 0.000, 0.000)
Co (0.500, 0.500, 0.500)
F (0.189, 0.311, 0.752)
F (0.248, 0.811, 0.689)
-- stop --
_The text goes on_
The cost of the study will be split between the North Dakota Petroleum Council and the Health Department, which will control the study and how it is conducted.